Here’s your plan, baby. You’re going to build this blogging career layer upon layer, like a tantalizing dripping sandwich they only serve in ancient deli’s on the East Coast. You will whiz and zing around people’s palates and serve up some mouth-watering truth bites that will satisfy a NATION of readers. Your name will drip off their lips as they spray your word crumbs all across the Internet. Wash your hands, baby. It’s time.
Buy a website. Host it. Spend approximately 40 kazillion hours online outfitting it with all the necessary sidebars, social share tools, newsletter blasts, subscription emails, and the most amazing header, font and logo that has ever existed. Perfect. Go to write a post, accidentally do a WordPress update, and watch all the custom work you put in turn the layout into applesauce. Your website is now a deconstructed pie that got farted in, fucked and then stuck to the bottom of the oven. Cry then pay someone who knows what they’re doing 40 kazillion dollars to fix it all.
Create and populate a Facebook Page for your website. Oh, and a Pinterest account, Twitter account, Instagram account, BlogLovin’ account, Google + account and a YouTube account. Update them all every time you write a new Blog Post. Oh, and be active and engage with all accounts and remember to be yourself but more interesting with better smelling hair and definitely much more clever and measured.
Join eleven Closed and Secret Facebook groups to help improve your reach, share links, bemoan your lack of ideas and share funny stories about wanting to kick your website in the cunt. Spend so much time Liking, commenting (no, LOL doesn’t count) and reading other blog posts that you forget to make dinner for a week or change your tampon. Receive so many notifications on your Facebook App you have to turn them off but then you panic that you’ll miss the notification that could lead to your next BIG BREAK so turn them back on and create a smoking hole in your phone where that App used to sit.
Submit all your best work somewhere else. Oh, but 99% of the sites don’t pay and some never ever send you a response even though you follow their instructions to the TEE. But you do it because if you do get accepted, you’re left with a flickering light in your gut that not even the most stressful stomach juices can douse. YOU ARE LOVED. Your bio is fucking STACKED. Ride that wave hard until the next rejection because then you are the grossest piece of shit hack writer in the universe. (Oh, and here’s how to get Huffington Post to even side-eye your best work: Catch two butterflies on the first Monday of a summer solstice. If one has a black teardrop on its left wing, smash it along your palm’s life line until the Little Dipper’s sixth star blinks at you 7 times. Stomp your right foot and whinny like a lost unicorn. Wash your eyes with apple cider vinegar and sniff peyote under a 400 thread count duvet cover while listening to Baby Einstein in reverse half-speed. Type in an email address that does not exist and send your opus as an attachment. You should hear back within the year.)
For your Blog Content, you need to post every few days or the Internet will forget you immediately. Play with a mix of sponsored content (but make it sound like you actually sincerely love the product), Lists, HOT CLICK BAIT that will cease to be relevant in 12 hours, and stories that are uniquely yours but also universally relatable. You can lie about showering if you like. Nobody likes a Mom who admits she showers.
Attend conferences. Pay airfare, hotel and conference fees so that you can show up and sweat through six shirts because as a blogger, in real life, you are the opposite of good or funny or cool or comfortable in your own skin. Making coherent words come out of the overly-lipsticked hole you don’t use when you type is HARD. In fact the whole reason you became a blogger versus an Academy-Award-nominated actor or car salesman, is that face-to-face you present as a dipshit. And there is no Command-Z when you’re wobbling on heels you never wear, telling someone how good they smell and accidentally creepily asking their room number while crushing your 5th glass of free wine. (I’ve never been to a conference. Is there free wine? Can you exchange a blog post for a glass of free wine?)
Make blogger friends. They need to be good writers but not better than you, or at least not better than you in the same wheelhouse of blogging. Otherwise, this fun cycle commences: OH MY FUCKING GOD, SHE/HE IS SO GOOD AT THIS AND I AM A DISCOUNTED AIRPORT HAM SANDWICH. I’m never writing again. Laptop closes and Netflix fires up. Tears, sulks, hot baths and cold shoulders to your family who have done exactly nothing wrong.
That family? You need to ignore them. Except for when they do something blog-worthy and you share all their dumpiest secrets online in exchange for clicks. Make sure you exaggerate it enough to include necessary SEO words and phrases. You’re also going to need to ignore your friends except for when you want them to share your links, read your Blog or vote for you in a Blog contest.
Tweet properly. Not too many links, funny but not dumb, cool but not try-hard, and under 125 characters so it can be properly re-tweeted. Join Triberr, Hootsuite and Just Unfollow so you can take any and all spontaneity out of Twitter and become a sweaty hunchback watching accounts, lists and numbers as your spine hardens into a brittle C.
Beat the Facebook algorithms. Post at optimal times. Write a catchy lead-in along with the link to your Blog and make sure an image appears. Like it as your page. Make sure everyone you’ve ever met Like’s your page. Don’t post too often. Don’t abandon your page. Ask questions that will encourage engagement. Go hard with hot topics. Vaccinations, spanking, co-sleeping, breastfeeding, gluten free fads, solid foods at three months, Moms with abs – throw them out on the wind like you don’t know the atom bomb they will unleash. Share anything that mentions wine. (Facebook Page Fact #1,476: Moms like wine.) And when all else fails, frantically scan your middling page views and crawl back into a Facebook group and moan about the Facebook rules and changes and forget that Facebook was invented for college students to exchange dick and nipple pics.
Create and watermark amazing Pinnable images to insert into every post. Don’t accidentally use an image you don’t own because 14 months later you will receive a piece of mail demanding your first born child because you once used a licensed photo of a piece of bacon with googly eyes that belongs to someone else.
Just. Like. This.
Turn your writing, a skill or talent that you’ve always loved and secretly snuggled with, into a barking hard-edged hustle that drains your soul and ceases to be a joy. Story telling is now a fast-paced game of not knowing where the fuck you’re going, but sprinting there anyway because everyone else is already there. All while being a supportive wife, nurturing mother, dedicated employee, fun friend and healthy human being.
Don’t choke. You are a business and a machine and your life’s happiness and success is attached to every word you write as a blogger. Don’t fuck this up.
(This post originally ran on
(Editor’s note: We regularly have to pull out our “you’re freaking awesome-sauce” stick and beat Brooke over the head with it. While she is not able to see herself as we see her, she is absolutely right to call out the ridiculous hypocrisy that is successful blogging in today’s crowded environment. We don’t usually publish content targeted only at bloggers, but this piece was so very, very good that we could not resist. Thanks, Brooke, for being you!)
Hahahahahahahaha! DYING!!
Oh Takhar–Loved this soo much. It is all so true. You are such a brilliant writer my love.
That’s HILARIOUS! And a perfect example of my first six months of blogging – at which point I said screw it. Facebook is cool, but I don’t ‘get’ Twitter/Linkdin, etc…, I waste way too much time on Pinterest, 99.9% of my G+ interaction is through YouTube comments … and there’s no way on the planet I’m going to keep blogging three times a week. Now I spend the bulk of my time writing. And praying I don’t have to attend any meetings where I might have to impress anyone because I have no doubt this will apply: “… face-to-face you present as a dipshit. 😀
Kristy – You learned the way to do it only six months in? SOB. I spent years doing shit I didn’t like and wasn’t that hot at. A toast to you! And the best way to spend your time – writing. xo
I love this SO much! It is so right on. I’m making my husband read it since he is probably the only person in my life who can relate to it since he lives with me.
I am relatively new to the blogging world, but I am already feeling overwhelmed by all the different aspects of it. This post made me laugh soooo hard, but it is also strangely comforting to know that this level of suffering is actually totally normal! Misery loves comfort? Thanks for this! 🙂
_Inserted here: materials data_
********
Diffraction record for CeCr2PO8. The PXRD pattern is computed, not measured: it uses a GGA+U-relaxed structure and Cu Kα X-rays.
Peak positions follow from Bragg's law for the DFT cell and can differ from measured ones.

Structure:
```
data_CeCr2PO8
_chemical_formula_sum 'Ce1 Cr2 P1 O8'
_space_group_name_H-M_alt 'P -3 m 1'
_space_group_IT_number 164
_space_group_name_Hall '-P 3 2"'
_cell_length_a 5.1640
_cell_length_b 5.1640
_cell_length_c 5.8420
_cell_angle_alpha 90.00
_cell_angle_beta 90.00
_cell_angle_gamma 120.00
loop_
_atom_site_label
_atom_site_type_symbol
_atom_site_fract_x
_atom_site_fract_y
_atom_site_fract_z
_atom_site_occupancy
Ce1 Ce 0.0000 0.0000 0.0000 1
Cr1 Cr 0.3333 0.6667 0.4347 1
P1 P 0.0000 0.0000 0.5000 1
O1 O 0.1579 0.3159 0.6642 1
O2 O 0.3333 0.6667 0.1456 1
```

Main lines, in order of rising 2θ (10° ≤ 2θ ≤ 90°):
Position (°2θ)  Rel. int.
19.85  69
25.08  100
30.61  18
34.74  86
36.75  31
43.33  54
46.97  57
51.16  25
51.47  26
56.69  24
70.99  16
73.33  16

----------

Record 1
Starting from a structure optimized by DFT (GGA-PBE), the powder diffractogram of SrLaMg6 was computed for CuKα.
Kinematic intensities with the Lorentz-polarization factor, no thermal factor.

Most intense lines, 5° ≤ 2θ ≤ 70°, sorted by position:
d (Å), Rel. int.
5.800, 34
5.393, 33
3.949, 37
3.134, 31
2.899, 21
2.710, 100
2.696, 29
2.554, 34
2.044, 18
1.559, 18

abc: 5.393 6.893 6.893
angles: 65.42 90.00 90.00
Element x y z (fractional)
Sr: 0.000 0.000 0.000
La: 0.000 0.507 0.507
Mg: 0.000 0.001 0.491
Mg: 0.000 0.491 0.001
Mg: 0.500 0.319 0.319
Mg: 0.500 0.341 0.829
Mg: 0.500 0.808 0.808
Mg: 0.500 0.829 0.341

Record 2
Starting from a structure optimized by DFT (GGA-PBE), the powder diffractogram of LaMg14Ti was computed for CuKα.
Kinematic intensities with the Lorentz-polarization factor, no thermal factor.

Most intense lines, 5° ≤ 2θ ≤ 70°, sorted by position:
d (Å), Rel. int.
10.417, 56
5.023, 24
4.908, 19
2.782, 29
2.604, 39
2.512, 55
2.454, 100
1.638, 19
1.473, 19
1.387, 21

abc: 10.417 6.558 6.558
angles: 58.05 90.00 90.00
Element x y z (fractional)
La: 0.000 0.000 0.000
Mg: 0.000 0.005 0.497
Mg: 0.000 0.497 0.005
Mg: 0.245 0.662 0.662
Mg: 0.255 0.171 0.656
Mg: 0.255 0.656 0.171
Mg: 0.258 0.167 0.167
Mg: 0.500 0.499 0.499
Mg: 0.500 0.499 0.998
Mg: 0.500 0.998 0.499
Mg: 0.500 0.998 0.998
Mg: 0.742 0.167 0.167
Mg: 0.745 0.171 0.656
Mg: 0.745 0.656 0.171
Mg: 0.755 0.662 0.662
Ti: 0.000 0.494 0.494

Record 3
Starting from a structure optimized by DFT (GGA-PBE), the powder diffractogram of LaMg14Ti was computed for CuKα.
Kinematic intensities with the Lorentz-polarization factor, no thermal factor.

Most intense lines, 5° ≤ 2θ ≤ 70°, sorted by position:
d (Å), Rel. int.
5.693, 31
4.977, 19
3.810, 25
2.846, 28
2.564, 23
2.489, 100
1.905, 17
1.643, 18
1.465, 18
1.384, 19

abc: 6.574 6.574 10.256
angles: 90.00 90.00 120.00
Element x y z (fractional)
La: 0.000 0.000 0.000
Mg: 0.000 0.500 0.500
Mg: 0.010 0.505 0.000
Mg: 0.168 0.335 0.260
********
Nothing short of SPOT FUCKING ON and brilliant. I love you. Let’s take turns having each other’s baby. And no, that wasn’t creepy at all.
I couldn’t possibly love this more!
Wow. This piece was hilarious and hit way too close to home! Had me laughing out loud because she was right on the money about so many things and so scathing at the same time.